File:
********
Calculated PXRD pattern
Compound: Li2FeCo3O8
Radiation: λ = 1.5418 Å (Cu Kα)
Structure: a structure optimized by DFT (GGA+U)
No peak broadening, texture or thermal motion is included.

Cell: 5.7744 5.8112 10.2021 Å, 73.53 73.58 60.44°
Sites, in units of the cell vectors:
Li1 0.0532 0.0634 0.3172
Li2 0.4359 0.4471 0.1841
Li3 0.5641 0.5529 0.8159
Li4 0.9468 0.9366 0.6828
Fe1 0.2528 0.2475 0.7495
Fe2 0.7472 0.7525 0.2505
Co1 0.0000 0.0000 0.0000
Co2 0.0000 0.5000 0.0000
Co3 0.0000 0.5000 0.5000
Co4 0.5000 0.0000 0.0000
Co5 0.5000 0.0000 0.5000
Co6 0.5000 0.5000 0.5000
O1 0.0960 0.6593 0.1134
O2 0.1367 0.1208 0.1048
O3 0.1613 0.1284 0.6138
O4 0.1610 0.5942 0.6156
O5 0.3554 0.8964 0.8938
O6 0.3639 0.3681 0.3985
O7 0.3741 0.3375 0.8855
O8 0.3961 0.8536 0.3959
O9 0.6039 0.1464 0.6041
O10 0.6259 0.6625 0.1145
O11 0.6361 0.6319 0.6015
O12 0.6446 0.1036 0.1062
O13 0.8390 0.4058 0.3844
O14 0.8387 0.8716 0.3862
O15 0.8633 0.8792 0.8952
O16 0.9040 0.3407 0.8866

Peak list (8 most intense, 2θ from 10° to 90°, low angle first)
2theta  Rel. int.  (hkl)
18.41  70.6  0 0 2
18.59  55.1  0 1 1
18.73  100.0  1 0 1
35.82  25.9  1 0 -3
36.04  35.8  1 -1 2
36.28  25.5  2 1 3
43.71  39.6  0 2 -2
43.95  78.2  2 2 4

***

Calculated PXRD pattern
Compound: K2Al4Fe5Si5H4O24
Radiation: λ = 1.5418 Å (Cu Kα)
Structure: a structure optimized by DFT (GGA+U)
No peak broadening, texture or thermal motion is included.

Cell: 6.6562 7.7956 11.4951 Å, 78.35 83.76 78.02°
Sites, in units of the cell vectors:
K1 0.0000 0.0000 0.0000
K2 0.1687 0.3797 0.4569
Al1 0.0536 0.0264 0.2723
Al2 0.3257 0.2273 0.0597
Al3 0.3620 0.7483 0.3760
Al4 0.5878 0.0433 0.2679
Fe1 0.2792 0.2847 0.8143
Fe2 0.4257 0.9757 0.5980
Fe3 0.6045 0.9132 0.8758
Fe4 0.7078 0.5509 0.3111
Fe5 0.9815 0.5873 0.9742
Si1 0.4403 0.5852 0.0467
Si2 0.5817 0.5824 0.7884
Si3 0.7663 0.1796 0.4584
Si4 0.9205 0.9212 0.6958
Si5 0.9414 0.2439 0.7487
H1 0.4965 0.7023 0.1185
H2 0.5129 0.2750 0.6328
H3 0.8407 0.3877 0.1471
H4 0.9575 0.7693 0.5505
O1 0.0935 0.0612 0.6667
O2 0.1057 0.3445 0.9783
O3 0.1162 0.8012 0.3261
O4 0.2055 0.6772 0.0115
O5 0.3095 0.0924 0.2049
O6 0.3793 0.4986 0.7971
O7 0.3810 0.8292 0.5061
O8 0.3902 0.2212 0.6550
O9 0.4076 0.0933 0.9467
O10 0.4388 0.5321 0.3385
O11 0.4729 0.3718 0.0906
O12 0.5408 0.7985 0.7336
O13 0.5676 0.1406 0.3981
O14 0.6065 0.8076 0.3007
O15 0.6230 0.6062 0.9295
O16 0.7466 0.0301 0.5856
O17 0.7545 0.3882 0.4687
O18 0.7739 0.1084 0.7842
O19 0.7869 0.4492 0.7387
O20 0.8251 0.0878 0.1923
O21 0.8546 0.5099 0.1513
O22 0.9123 0.7947 0.8405
O23 0.9936 0.1368 0.3918
O24 0.9993 0.7433 0.6320

Peak list (8 most intense, 2θ from 10° to 90°, low angle first)
2theta  Rel. int.  (hkl)
12.93  47.5  0 1 1
15.78  48.6  0 0 2
19.43  44.2  1 1 -1
24.55  100.0  0 1 3
26.13  46.4  1 -1 2
27.77  44.2  2 1 0
33.68  45.0  2 2 2
35.32  56.6  2 0 3
********

Assignment:
Restate the listing above from the first line to the one with "0.8076 0.3007" character by character.

Done:
Calculated PXRD pattern
Compound: Li2FeCo3O8
Radiation: λ = 1.5418 Å (Cu Kα)
Structure: a structure optimized by DFT (GGA+U)
No peak broadening, texture or thermal motion is included.

Cell: 5.7744 5.8112 10.2021 Å, 73.53 73.58 60.44°
Sites, in units of the cell vectors:
Li1 0.0532 0.0634 0.3172
Li2 0.4359 0.4471 0.1841
Li3 0.5641 0.5529 0.8159
Li4 0.9468 0.9366 0.6828
Fe1 0.2528 0.2475 0.7495
Fe2 0.7472 0.7525 0.2505
Co1 0.0000 0.0000 0.0000
Co2 0.0000 0.5000 0.0000
Co3 0.0000 0.5000 0.5000
Co4 0.5000 0.0000 0.0000
Co5 0.5000 0.0000 0.5000
Co6 0.5000 0.5000 0.5000
O1 0.0960 0.6593 0.1134
O2 0.1367 0.1208 0.1048
O3 0.1613 0.1284 0.6138
O4 0.1610 0.5942 0.6156
O5 0.3554 0.8964 0.8938
O6 0.3639 0.3681 0.3985
O7 0.3741 0.3375 0.8855
O8 0.3961 0.8536 0.3959
O9 0.6039 0.1464 0.6041
O10 0.6259 0.6625 0.1145
O11 0.6361 0.6319 0.6015
O12 0.6446 0.1036 0.1062
O13 0.8390 0.4058 0.3844
O14 0.8387 0.8716 0.3862
O15 0.8633 0.8792 0.8952
O16 0.9040 0.3407 0.8866

Peak list (8 most intense, 2θ from 10° to 90°, low angle first)
2theta  Rel. int.  (hkl)
18.41  70.6  0 0 2
18.59  55.1  0 1 1
18.73  100.0  1 0 1
35.82  25.9  1 0 -3
36.04  35.8  1 -1 2
36.28  25.5  2 1 3
43.71  39.6  0 2 -2
43.95  78.2  2 2 4

***

Calculated PXRD pattern
Compound: K2Al4Fe5Si5H4O24
Radiation: λ = 1.5418 Å (Cu Kα)
Structure: a structure optimized by DFT (GGA+U)
No peak broadening, texture or thermal motion is included.

Cell: 6.6562 7.7956 11.4951 Å, 78.35 83.76 78.02°
Sites, in units of the cell vectors:
K1 0.0000 0.0000 0.0000
K2 0.1687 0.3797 0.4569
Al1 0.0536 0.0264 0.2723
Al2 0.3257 0.2273 0.0597
Al3 0.3620 0.7483 0.3760
Al4 0.5878 0.0433 0.2679
Fe1 0.2792 0.2847 0.8143
Fe2 0.4257 0.9757 0.5980
Fe3 0.6045 0.9132 0.8758
Fe4 0.7078 0.5509 0.3111
Fe5 0.9815 0.5873 0.9742
Si1 0.4403 0.5852 0.0467
Si2 0.5817 0.5824 0.7884
Si3 0.7663 0.1796 0.4584
Si4 0.9205 0.9212 0.6958
Si5 0.9414 0.2439 0.7487
H1 0.4965 0.7023 0.1185
H2 0.5129 0.2750 0.6328
H3 0.8407 0.3877 0.1471
H4 0.9575 0.7693 0.5505
O1 0.0935 0.0612 0.6667
O2 0.1057 0.3445 0.9783
O3 0.1162 0.8012 0.3261
O4 0.2055 0.6772 0.0115
O5 0.3095 0.0924 0.2049
O6 0.3793 0.4986 0.7971
O7 0.3810 0.8292 0.5061
O8 0.3902 0.2212 0.6550
O9 0.4076 0.0933 0.9467
O10 0.4388 0.5321 0.3385
O11 0.4729 0.3718 0.0906
O12 0.5408 0.7985 0.7336
O13 0.5676 0.1406 0.3981
O14 0.6065 0.8076 0.3007